Contents =
+++
Entry from Alexandria: a relaxed Li2HoThHg4 crystal (PBE). Values from VASP.

Its total energy is -19.923 eV/cell. The crystal system is trigonal.

The structure in Quantum ESPRESSO input format:
```
&SYSTEM
  ibrav = 0, nat = 8, ntyp = 4
/
ATOMIC_SPECIES
Th 232.04 Th.upf
Ho 164.93 Ho.upf
Hg 200.59 Hg.upf
Li 6.94 Li.upf
ATOMIC_POSITIONS angstrom
Th 0.000 0.000 0.000
Ho 2.104 -0.578 6.853
Hg 1.442 -2.933 8.732
Hg 2.766 1.777 4.973
Hg 3.777 1.438 8.362
Hg 0.431 -2.594 5.343
Li 3.126 -0.903 10.251
Li 1.082 -0.252 3.454
CELL_PARAMETERS angstrom
-2.268 -1.347 4.313
1.939 -3.721 2.821
4.538 3.912 6.572
```
+++

Exercise =
Now echo everything above without altering anything.

Here it is =
Entry from Alexandria: a relaxed Li2HoThHg4 crystal (PBE). Values from VASP.

Its total energy is -19.923 eV/cell. The crystal system is trigonal.

The structure in Quantum ESPRESSO input format:
```
&SYSTEM
  ibrav = 0, nat = 8, ntyp = 4
/
ATOMIC_SPECIES
Th 232.04 Th.upf
Ho 164.93 Ho.upf
Hg 200.59 Hg.upf
Li 6.94 Li.upf
ATOMIC_POSITIONS angstrom
Th 0.000 0.000 0.000
Ho 2.104 -0.578 6.853
Hg 1.442 -2.933 8.732
Hg 2.766 1.777 4.973
Hg 3.777 1.438 8.362
Hg 0.431 -2.594 5.343
Li 3.126 -0.903 10.251
Li 1.082 -0.252 3.454
CELL_PARAMETERS angstrom
-2.268 -1.347 4.313
1.939 -3.721 2.821
4.538 3.912 6.572
```